This library has normalizations and schedules for the Classifier-free
Guidance parameter in Diffusion models. We call the guidance modifiers
It seems that transforms
can improve the quality of generated images
across Diffusion pipelines. To be specific:
- Normalizing can help with image syntax.
- Scheduling can improve image details.
For more details, please check out the official blog post.
pip install cf_guidance
The follow section creates a few example schedules. Then, we use the
**Next to the text, the page also holds data records**
=====
(1)
# CsMnCuTe2
Calculated powder X-ray diffraction pattern, Cu Kα, 1.54184 Å. Input: a structure optimized by DFT (GGA-PBE).
Neutral-atom scattering factors, no anomalous dispersion.

Peak list (10 most intense, 10° ≤ 2θ ≤ 90°, in order of falling intensity)
d 3.486, I 100, (1 3 1); d 3.353, I 29, (2 0 0); d 1.960, I 23, (3 3 1); d 1.944, I 22, (0 8 0); d 2.357, I 17, (2 0 2); d 2.040, I 15, (0 6 2); d 2.593, I 13, (1 5 1); d 3.048, I 11, (0 2 2); d 1.743, I 10, (2 6 2); d 3.314, I 10, (0 0 2)

Lattice parameters (Å, degrees): 6.707 15.536 6.628 90.00 90.00 90.00
Space group Cmme (No. 67)
Symmetry-distinct sites (fractional):
Cs 0.000 0.250 0.235 (multiplicity 4)
Mn 0.250 0.000 0.500 (multiplicity 4)
Cu 0.000 0.000 0.000 (multiplicity 4)
Te 0.000 0.106 0.723 (multiplicity 8)



(2)
# AcPmY2
Calculated powder X-ray diffraction pattern, Cu Kα, 1.54184 Å. Input: a structure optimized by DFT (GGA-PBE).
Neutral-atom scattering factors, no anomalous dispersion.

Peak list (10 most intense, 10° ≤ 2θ ≤ 90°, in order of falling intensity)
d 3.014, I 100, (1 1 1); d 2.638, I 35, (2 0 0); d 1.586, I 30, (3 1 1); d 1.837, I 24, (2 0 2); d 2.558, I 16, (0 0 2); d 1.551, I 14, (1 1 3); d 1.865, I 13, (2 2 0); d 1.507, I 13, (2 2 2); d 1.193, I 12, (3 1 3); d 5.117, I 10, (0 0 1)

Lattice parameters (Å, degrees): 5.276 5.276 5.117 90.00 90.00 90.00
Space group P4/mmm (No. 123)
Symmetry-distinct sites (fractional):
Ac 0.000 0.000 0.000 (multiplicity 1)
Pm 0.500 0.500 0.000 (multiplicity 1)
Y 0.000 0.500 0.500 (multiplicity 2)



(3)
# HoPuTlBr6
Calculated powder X-ray diffraction pattern, Cu Kα, 1.54184 Å. Input: a structure optimized by DFT (GGA-PBE).
Neutral-atom scattering factors, no anomalous dispersion.

Peak list (10 most intense, 10° ≤ 2θ ≤ 90°, in order of falling intensity)
d 4.845, I 100, (1 0 2); d 2.612, I 89, (1 1 4); d 3.328, I 47, (1 1 2); d 2.158, I 39, (3 0 0); d 2.320, I 33, (2 1 2); d 2.960, I 26, (2 0 2); d 1.664, I 21, (4 -2 4); d 3.738, I 21, (1 1 0); d 7.302, I 19, (0 0 2); d 1.318, I 18, (4 1 4)

Lattice parameters (Å, degrees): 7.4765 7.4765 14.6036 90.00 90.00 120.00
Space group P-31c (No. 163)
Symmetry-distinct sites (fractional):
Ho 0.3333 0.6667 0.2500 (multiplicity 2)
Pu 0.3333 0.6667 0.7500 (multiplicity 2)
Tl 0.0000 0.0000 0.0000 (multiplicity 2)
Br 0.0178 0.3739 0.1370 (multiplicity 12)



Number 3 is which compound?
HoPuTlBr6

----------

1.
Theoretical X-ray diffraction stick pattern of Pm3TlGe for Cu Kα, 1.54184 Å, from a crystal structure in Alexandria, relaxed with PBE.
Neutral-atom scattering factors, no anomalous dispersion.

```
Pm3TlGe
1.0
0.0000 4.9219 8.3702
3.4943 0.0000 8.3702
3.4943 4.9219 0.0000
Pm Tl Ge
6 2 2
Cartesian
3.4943 4.9219 3.1884
3.4943 3.0662 6.5938
3.4943 3.0662 10.1466
3.4943 6.7776 6.5938
3.4943 6.7776 10.1466
3.4943 4.9219 13.5519
5.5285 4.9219 8.3702
1.4600 4.9219 8.3702
1.7471 2.4609 4.1851
5.2414 7.3828 12.5553
```

Main lines, by intensity (2θ from 10° to 90°):
2θ (°), I/Imax
33.2, 100
=====
schedules to initialize different kinds of transforms
We create a few different schedules:
A Cosine schedule that starts from the default Guidance parameter in
Next we create the same schedule, except with an initial warmup
. With
Finally, we create a schedule with small values of TNormGuidance
This transforms puts the vectors on a similar scale, so we need a much
smaller value than usual when mixing them.
from cf_guidance.schedules import get_cos_sched
# Parameters from the blog post
max_val = 7.5
min_val = 0.15
num_steps = 50
num_warmup_steps = 5
# 1) Baseline cosine schedule
cos_params = {
'max_val': max_val,
'num_steps': num_steps,
'min_val': min_val,
'num_warmup_steps': 0,
# 2) Cosine schedule with warmup
warmup_cos_params = {
'max_val': max_val,
'num_steps': num_steps,
'min_val': min_val,
'warmup_init_val': min_val + 1., # to show we can offset the warmup relative to min
'num_warmup_steps': num_warmup_steps,
# 3) Cosine schedule with small values for T-Norm guidance
t_scale_params = {
'max_val': 0.25,
'num_steps': num_steps,
'min_val': 0.05,
# create the schedules
cos_g = get_cos_sched(**cos_params)
warmup_g = get_cos_sched(**warmup_cos_params)
TNorm_g = get_cos_sched(**t_scale_params)
Let’s plot these schedules to see what they look like.
import matplotlib.pyplot as plt
# plot them
plt.xlabel('Diffusion Timesteps')
plt.ylabel('$G$ Guidance Parameter')
plt.title('Cosine Schedule');
plt.xlabel('Diffusion Timesteps')
plt.ylabel('$G$ Guidance Parameter')
plt.title('Warmup Cosine Schedule');
plt.xlabel('Diffusion Timesteps')
plt.ylabel('$G$ Guidance Parameter')
plt.title('Small Cosine Schedule to T-Norm');
Guidance transforms take one initialization parameter: schedules
. This
is a map from parameter names to an array-like, indexable sequence of
For a given parameter name
at diffusion timestep idx
, the value of
should be the value of that parameter at the
given timestep.
In this case, we call the parameter
from cf_guidance.transforms import *
# Create a baseline Guidance with cosine schedule.
== The piece is interrupted by data records ==
........
The following is a simulated powder X-ray diffraction pattern of SrZn2As2O8. It was derived from a structure optimized by DFT (GGA-PBE), using Cu Ka.

Most intense lines, 15° ≤ 2θ ≤ 90°, sorted by position:
2θ (°)  I (rel.)
20.3  76
21.7  57
22.5  47
26.1  91
28.6  63
28.9  67
33.1  41
33.7  100
36.9  40
46.9  41

Cell: 8.744 9.908 9.441 Å, 90.00 91.82 90.00°
Fractional coordinates of all 52 atoms:
Sr  0.250  0.083  0.115
Sr  0.250  0.417  0.615
Sr  0.750  0.583  0.385
Sr  0.750  0.917  0.885
Zn  0.078  0.686  0.050
Zn  0.078  0.814  0.550
Zn  0.426  0.074  0.721
Zn  0.426  0.426  0.221
Zn  0.574  0.574  0.779
Zn  0.574  0.926  0.279
Zn  0.922  0.186  0.450
Zn  0.922  0.314  0.950
As  0.058  0.083  0.750
As  0.058  0.417  0.250
As  0.451  0.704  0.063
As  0.451  0.796  0.563
As  0.549  0.204  0.437
As  0.549  0.296  0.937
As  0.942  0.583  0.750
As  0.942  0.917  0.250
O  0.020  0.065  0.312
O  0.020  0.435  0.812
O  0.065  0.625  0.617
O  0.065  0.875  0.117
O  0.069  0.202  0.617
O  0.069  0.298  0.117
O  0.237  0.069  0.833
O  0.237  0.431  0.333
O  0.283  0.633  0.001
O  0.283  0.867  0.501
O  0.416  0.207  0.568
O  0.416  0.293  0.068
O  0.430  0.632  0.620
O  0.430  0.868  0.120
O  0.474  0.103  0.302
O  0.474  0.397  0.802
O  0.526  0.603  0.198
O  0.526  0.897  0.698
O  0.570  0.132  0.880
O  0.570  0.368  0.380
O  0.584  0.707  0.932
O  0.584  0.793  0.432
O  0.717  0.133  0.499
O  0.717  0.367  0.999
O  0.763  0.569  0.667
O  0.763  0.931  0.167
O  0.931  0.702  0.883
O  0.931  0.798  0.383
O  0.935  0.125  0.883
O  0.935  0.375  0.383
O  0.980  0.565  0.188
O  0.980  0.935  0.688

The following is a simulated powder X-ray diffraction pattern of Ta9As2O25. It was derived from a structure optimized by DFT (GGA-PBE), using Cu Ka.

Most intense lines, 15° ≤ 2θ ≤ 90°, sorted by position:
2θ (°)  I (rel.)
17.6  23
22.8  46
24.9  100
25.4  20
30.0  34
32.1  43
35.6  25
37.7  27
54.1  22
57.9  19

Cell: 11.471 11.471 11.471 Å, 91.77 91.77 159.77°
Fractional coordinates of all 36 atoms:
Ta  0.000  0.000  0.000
Ta  0.097  0.223  0.320
Ta  0.128  0.682  0.810
Ta  0.223  0.903  0.126
Ta  0.318  0.128  0.446
Ta  0.682  0.872  0.554
Ta  0.777  0.097  0.874
Ta  0.872  0.318  0.190
Ta  0.903  0.777  0.680
As  0.250  0.750  0.500
As  0.750  0.250  0.500
O  0.017  0.719  0.736
O  0.049  0.117  0.166
O  0.096  0.560  0.656
O  0.117  0.951  0.068
O  0.163  0.348  0.511
O  0.181  0.789  0.969
O  0.211  0.181  0.392
O  0.253  0.611  0.864
O  0.281  0.017  0.298
O  0.348  0.837  0.185
O  0.389  0.253  0.642
O  0.440  0.096  0.536
O  0.500  0.500  0.000
O  0.560  0.904  0.464
O  0.611  0.747  0.358
O  0.652  0.163  0.815
O  0.719  0.983  0.702
O  0.747  0.389  0.136
O  0.789  0.819  0.608
O  0.819  0.211  0.031
O  0.837  0.652  0.489
O  0.883  0.049  0.932
O  0.904  0.440  0.344
O  0.951  0.883  0.834
O  0.983  0.281  0.264
........
== So much for the data records ==
sample_sched = {'g': cos_g}
guidance = GuidanceTfm(sample_sched)
# Guidance with normalization and a cosine schedule.
norm_guidance = BaseNormGuidance(sample_sched)
# T-Norm Guidance with the smaller-valued schedule
small_sched = {'g': TNorm_g}
small_guidance = TNormGuidance(small_sched)
The code snippet below shows where and how these transforms are used in
an image generate()
pipeline. We will use the norm_guidance
created above for the example.
Specifically, we call this norm_tfm
with the following arguments:
- The unconditioned noise predictions.
- The conditional noise predictions.
- The current timestep index.
We borrow code from the official
from HuggingFace to show where our norm_tfm
goes. This seems like a
good starting point, since many scripts and functions are based on this
HuggingFace script.
# inside of `StableDiffusionPipeline`
for i, t in enumerate(self.progress_bar(timesteps_tensor)):
# expand the latents if we are doing classifier free guidance
latent_model_input =[latents] * 2) if do_classifier_free_guidance else latents
latent_model_input = self.scheduler.scale_model_input(latent_model_input, t)
# predict the noise residual
noise_pred = self.unet(latent_model_input, t, encoder_hidden_states=text_embeddings).sample
# NOTE: our transforms go here:
if do_classifier_free_guidance:
noise_pred_uncond, noise_pred_text = noise_pred.chunk(2)
#noise_pred = noise_pred_uncond + guidance_scale * (noise_pred_text - noise_pred_uncond)
# NEW cf_guidance UPDATE
noise_pred = norm_guidance(noise_pred_uncond, noise_pred_text, i)
The cosine schedule function was based on a combination of the Cosine schedulers in timm and HuggingFace.
It has a variety of parameters to support many different schedule combinations, as shown below.
# using wilder parameters, worth exploring
two_cycles = {
'max_val': max_val,
'num_steps': num_steps,
'min_val': min_val,
'num_cycles': 1,
'warmup_init_val': min_val + 1., # to show we can offset the warmup relative to min
'num_warmup_steps': 0,
k_decay_cos = {
'max_val': max_val,
'num_steps': num_steps,
'min_val': min_val,
'num_cycles': 1.5,
'k_decay': 0.7,
'warmup_init_val': min_val + 1., # to show we can offset the warmup relative to min
'num_warmup_steps': num_warmup_steps,
# create the schedules
_Attached: calculated crystals_
=====
(1)
Starting from a cell relaxed with PBE, the powder X-ray diffraction pattern of BiPbS2Cl was computed for CuKα.
Intensities are scaled so that the largest is 1000.

Peak list (6 most intense, 2θ from 10° to 90°, most intense first)
Position (°2θ), intensity, hkl
21.13, 1000, 1 1 0
27.20, 471, 0 1 2
28.97, 419, 1 0 2
29.36, 395, 2 0 -2
32.70, 368, 0 2 0
44.54, 366, 2 2 -2

a = 6.8778 Å, b = 5.4777 Å, c = 8.5748 Å
α = 90.00°, β = 107.41°, γ = 90.00°
Space group P2_1/m (No. 11)
Inequivalent atoms, fractional coordinates:
1 Bi 0.1888 0.2500 0.4220 (multiplicity 2)
2 Pb 0.2086 0.2500 0.9226 (multiplicity 2)
3 S 0.0666 0.7500 0.8690 (multiplicity 2)
4 S 0.0739 0.7500 0.4104 (multiplicity 2)
5 Cl 0.4740 0.7500 0.2468 (multiplicity 2)


(2)
Starting from a cell relaxed with PBE, the powder X-ray diffraction pattern of Pu3H4 was computed for CuKα.
Intensities are scaled so that the largest is 1000.

Peak list (6 most intense, 2θ from 10° to 90°, most intense first)
Position (°2θ), intensity, hkl
30.10, 1000, 2 1 1
37.80, 299, 1 3 1
64.94, 268, 2 2 3
37.06, 212, 0 1 2
31.78, 205, 2 2 0
42.47, 193, 4 1 0

a = 11.2619 Å, b = 11.2619 Å, c = 5.0095 Å
α = 90.00°, β = 90.00°, γ = 120.00°
Space group R-3c (No. 167, hexagonal axes)
Inequivalent atoms, fractional coordinates:
1 Pu 0.0000 0.1904 0.2500 (multiplicity 18)
2 H 0.0000 0.0000 0.0000 (multiplicity 6)
3 H 0.0000 0.2340 0.7500 (multiplicity 18)


(3)
Starting from a cell relaxed with PBE, the powder X-ray diffraction pattern of TmUIr was computed for CuKα.
Intensities are scaled so that the largest is 1000.

Peak list (6 most intense, 2θ from 10° to 90°, most intense first)
Position (°2θ), intensity, hkl
37.25, 1000, 0 2 4
33.33, 746, 2 0 2
41.24, 615, 2 2 2
39.58, 461, 1 3 1
28.62, 448, 1 1 3
75.00, 321, 4 2 4

a = 5.9490 Å, b = 7.5405 Å, c = 12.5674 Å
α = 90.00°, β = 90.00°, γ = 90.00°
Space group Fmmm (No. 69)
Inequivalent atoms, fractional coordinates:
1 Tm 0.0000 0.1936 0.0000 (multiplicity 8)
2 U 0.2500 0.2500 0.2500 (multiplicity 8)
3 Ir 0.0000 0.0000 0.3788 (multiplicity 8)


(4)
Starting from a cell relaxed with PBE, the powder X-ray diffraction pattern of Li3Zn4Ag2 was computed for CuKα.
Intensities are scaled so that the largest is 1000.

Peak list (6 most intense, 2θ from 10° to 90°, most intense first)
Position (°2θ), intensity, hkl
25.73, 1000, 1 1 -1
40.39, 889, 3 1 0
40.52, 877, 1 1 -3
21.87, 455, 0 0 2
41.39, 416, 2 0 3
41.74, 405, 0 2 0

a = 7.8291 Å, b = 4.3279 Å, c = 8.1352 Å
α = 90.00°, β = 92.57°, γ = 90.00°
Space group C2/m (No. 12)
Inequivalent atoms, fractional coordinates:
1 Li 0.0000 0.0000 0.0000 (multiplicity 2)
2 Li 0.1686 0.5000 0.5593 (multiplicity 4)
3 Zn 0.0034 0.0000 0.6599 (multiplicity 4)
4 Zn 0.1666 0.5000 0.8863 (multiplicity 4)
5 Ag 0.1640 0.5000 0.2211 (multiplicity 4)


(5)
Starting from a cell relaxed with PBE, the powder X-ray diffraction pattern of B was computed for CuKα.
Intensities are scaled so that the largest is 1000.
=====
two_cycle_sched = get_cos_sched(**two_cycles)
k_decay_sched = get_cos_sched(**k_decay_cos)
plt.title('Cosine With a Full Cycle');
plt.title('Cosine with Warmup, 1.5 Cycles, and K-decay');